Just a little about...

Wednesday, September 28, 2011

fifth row

the fifth row seat, that's always where you'll find her...
the little girl with the blonde hair and the big blue eyes and the oh so very round cheeks...
her hand pressed against the window, sometimes waving, often almost reaching...
my heart resides within her chest, where it's been since that early january morning.
she is everything good in my life, the picture of perfect to me...
each time her little hand reaches up for mine my heart expands just a little more...
her sense of security wavers...one moment she steps away from me, needing little more than to know i'm "somewhere"...the next she holds tight to me, gathering strength from my nearness.
what she doesn't know...what she can't possibly comprehend, is that i gain strength from her too...
knowing she trusts me, that in her eyes i can do anything, that in my moments of weakness i am still all she needs...
she is my fifth row...my security...my stability.

Saturday, September 17, 2011

Between two parts of the text: crystal structures:
********
# 1
The following is a DFT calculation (PBE-GGA) of an optimized crystal structure of LiCr2S4.

Total moment   10.0 Bohr magnetons per cell
Energy relative to the elements   -7.58 eV per formula unit
Energy   -6.19 eV/atom

Unit cell a=7.017 b=7.017 c=7.017 alpha=118.59 beta=118.59 gamma=92.46
Fractional coordinates of all 14 atoms:
1 Li 0.375 0.625 0.750
2 Li 0.625 0.375 0.250
3 Cr 0.000 0.000 0.000
4 Cr 0.000 0.000 0.500
5 Cr 0.000 0.500 0.000
6 Cr 0.500 0.000 0.500
7 S 0.218 0.247 0.971
8 S 0.224 0.753 0.471
9 S 0.247 0.218 0.471
10 S 0.247 0.776 0.029
11 S 0.753 0.224 0.971
12 S 0.753 0.782 0.529
13 S 0.776 0.247 0.529
14 S 0.782 0.753 0.029

# 2
The following is a DFT calculation (PBE-GGA) of an optimized crystal structure of FeNiSb6.

Energy relative to the elements   -2.19 eV per formula unit
Energy   -5.01 eV/atom

Unit cell a=7.899 b=7.899 c=9.129 alpha=125.17 beta=125.17 gamma=70.61
Fractional coordinates of all 16 atoms:
1 Fe 0.000 0.500 0.000
2 Fe 0.500 0.000 0.000
3 Ni 0.000 0.500 0.500
4 Ni 0.500 0.000 0.500
5 Sb 0.155 0.836 0.330
6 Sb 0.164 0.845 0.670
7 Sb 0.176 0.506 0.845
8 Sb 0.330 0.330 0.168
9 Sb 0.338 0.338 0.496
10 Sb 0.494 0.824 0.155
11 Sb 0.506 0.176 0.845
12 Sb 0.662 0.662 0.504
13 Sb 0.670 0.670 0.832
14 Sb 0.824 0.494 0.155
15 Sb 0.836 0.155 0.330
16 Sb 0.845 0.164 0.670

# 3
The following is a DFT calculation (PBE-GGA) of an optimized crystal structure of SrCaSi4.

Energy relative to the elements   -1.88 eV per formula unit
Energy   -4.59 eV/atom

Unit cell a=4.368 b=4.368 c=13.718 alpha=90.00 beta=90.00 gamma=90.00
Fractional coordinates of all 12 atoms:
1 Sr 0.000 0.000 0.000
2 Sr 0.500 0.500 0.500
3 Ca 0.000 0.500 0.750
4 Ca 0.500 0.000 0.250
5 Si 0.000 0.000 0.415
6 Si 0.000 0.000 0.585
7 Si 0.000 0.500 0.167
8 Si 0.000 0.500 0.333
9 Si 0.500 0.000 0.667
10 Si 0.500 0.000 0.833
11 Si 0.500 0.500 0.085
12 Si 0.500 0.500 0.915

# 4
The following is a DFT calculation (PBE-GGA) of an optimized crystal structure of Pb2Au.

Energy relative to the elements   -0.24 eV per formula unit
Energy   -3.65 eV/atom

Unit cell a=7.398 b=7.398 c=5.941 alpha=90.00 beta=90.00 gamma=90.00
Fractional coordinates of all 12 atoms:
1 Pb 0.159 0.341 0.000
2 Pb 0.159 0.659 0.500
3 Pb 0.341 0.159 0.500
4 Pb 0.341 0.841 0.000
5 Pb 0.659 0.159 0.000
6 Pb 0.659 0.841 0.500
7 Pb 0.841 0.341 0.500
8 Pb 0.841 0.659 0.000
9 Au 0.000 0.000 0.250
10 Au 0.000 0.000 0.750
11 Au 0.500 0.500 0.250
12 Au 0.500 0.500 0.750

* * * * *

No. 1
Computed, not measured: an optimized crystal structure of Nd2Mg at the GGA-PBE level of DFT.

Lattice parameters (Å, degrees): 3.8595 3.8595 12.7472 90.00 90.00 90.00
Space group I4/mmm (No. 139)
Asymmetric unit:
Nd (0.0000, 0.0000, 0.1528)
Mg (0.0000, 0.0000, 0.5000)

Distance to the lowest polymorph of the same formula = 11 meV/atom

No. 2
Computed, not measured: an optimized crystal structure of MgNi4P4S4 at the GGA-PBE level of DFT.

Lattice parameters (Å, degrees): 5.4174 5.5105 7.2620 89.63 85.11 89.95
********
The text goes on:


“Oh the comfort, the inexpressible comfort of feeling safe with a person, having neither to weigh thoughts nor measure words, but pouring them all right out, just as they are -- chaff and grain together -- certain that a faithful hand will take and sift them, keep what is worth keeping, and with the breath of kindness blow the rest away.”
Elizabeth Barrett Browning

I've had a lot of time to think the past several months.  This year has not been what I imagined it to be, at least not what I imagined it to be when I looked forward at this time last year.  With each turn came uncertainty and questions, grief and a heightened awareness of my hopes for the future.  I read this poem a couple years ago and wrote it in one of my many notebooks.  I have read it and re-read it at least a hundred times.  It sums up everything I want, everything I need out of a partner.  It's funny, as I get older, I find that in some ways my list of "musts" becomes more detailed; but in all honesty, it all comes down to this - these words - "inexpressible comfort of feeling safe with a person, having to neither weigh thoughts nor measure words, but pouring them all right out, just as they are...certain that a faithful hand will take and sift them, keep what is worth keeping, and with the breath of kindness blow the rest away".  To have someone love me like THAT.  To take everything I am, everything I'm not, every wish, every dream, every hurt, every worry, every insecurity, every flaw, every triumph, every fail...to take it all and accept it, keeping all that is good and letting go of the rest. 

There is a level of comfort that comes with feeling safe with someone, and for me, what I've learned is that feeling emotionally safe with someone is what I need; what makes me feel whole. 

Sunday, September 11, 2011

• Unrelated to this text: records of crystals:
********
# RbCeMg6O8

A geometry-optimized RbCeMg6O8 structure (PBE-GGA, the Materials Project).

Computed properties:
DFT formation energy ... -39.95 eV per formula unit
SG ... P4/mmm
Crystal system ... tetragonal
Corrected total energy (MP2020 scheme) ... -96.05 eV/cell
Raw total energy ... -5.66 eV/atom
Density ... 4.04 Mg/m³
E above lowest polymorph ... 100 meV/atom

POSCAR file:
```
RbCeMg6O8
1.0
-4.8993 -0.3650 -7.7605
-1.3219 -4.4154 1.0422
-3.7720 1.6728 2.3027
Mg O Ce Rb
6 8 1 1
Direct
0.5000 0.5000 0.5000
0.0000 0.5000 0.5000
0.2710 0.0000 0.5000
0.7290 0.5000 0.0000
0.2710 0.5000 0.0000
0.7290 0.0000 0.5000
0.7660 0.0000 0.0000
0.0000 0.0000 0.5000
0.5000 0.5000 0.0000
0.2340 0.0000 0.0000
0.5000 0.0000 0.5000
0.0000 0.5000 0.0000
0.7497 0.5000 0.5000
0.2503 0.5000 0.5000
0.0000 0.0000 0.0000
0.5000 0.0000 0.0000
```
********
• The text goes on:

Poking holes in someone else's darkness

I am constantly thinking about stories, mostly those belonging to the people I pass on the street or walking through the store...complete strangers with no connection to me, walking through their lives, many simply just trying to survive the moment they are in.  I believe you can see into someone's soul by looking in their eyes...and so many times we are in such a rush, trying to make our life happen, that we never even truly see the people around us...they almost pass in a blur.  My mind creates their story, weaving together the pieces of what they could be experiencing in a matter of moments...placing them in a context of sort based primarily on their expressions.  So many of them seem so lonely, so desperate for someone to really care about them, so cloaked in their own darkness and dispair...those are the stories I want to tell - those of the unheard, to give a voice to the silent, meaning to the overlooked.  But, those could be anyone's stories.  Yours, mine...we are all there at some point, empty, living our life in darkness; needing to be noticed for who we are not the visible flaws we can't hide. 

Misplaced records of crystals =
=====
[1]
Material: Ce2Si7Rh15
Method: DFT, PBE
State: relaxed

a = 8.9307 Å, b = 8.9307 Å, c = 8.9307 Å
α = 90.00°, β = 90.00°, γ = 90.00°
Positions (direct):
Ce  0.5000  0.0000  0.0000
Ce  0.5000  0.5000  0.5000
Ce  0.0000  0.0000  0.5000
Ce  0.0000  0.5000  0.0000
Si  0.2124  0.7876  0.7876
Si  0.5000  0.5000  0.8647
Si  0.2124  0.7876  0.2124
Si  0.7876  0.2124  0.7876
Si  0.7876  0.7876  0.2124
Si  0.1353  0.5000  0.5000
Si  0.5000  0.8647  0.5000
Si  0.5000  0.1353  0.5000
Si  0.5000  0.5000  0.1353
Si  0.2124  0.2124  0.2124
Si  0.8647  0.5000  0.5000
Si  0.7876  0.2124  0.2124
Si  0.2124  0.2124  0.7876
Si  0.7876  0.7876  0.7876
Rh  0.5000  0.2621  0.2621
Rh  0.0000  0.0000  0.2272
Rh  0.3232  0.0000  0.6768
Rh  0.7379  0.5000  0.2621
Rh  0.6768  0.3232  0.0000
Rh  0.7728  0.0000  0.0000
Rh  0.3232  0.0000  0.3232
Rh  0.0000  0.0000  0.7728
Rh  0.7379  0.2621  0.5000
Rh  0.6768  0.0000  0.3232
Rh  0.2272  0.0000  0.0000
Rh  0.0000  0.3232  0.3232
Rh  0.7379  0.5000  0.7379
Rh  0.0000  0.6768  0.3232
Rh  0.2621  0.5000  0.7379
Rh  0.0000  0.6768  0.6768
Rh  0.7379  0.7379  0.5000
Rh  0.0000  0.3232  0.6768
Rh  0.5000  0.7379  0.7379
Rh  0.3232  0.3232  0.0000
Rh  0.5000  0.2621  0.7379
Rh  0.3232  0.6768  0.0000
Rh  0.0000  0.2272  0.0000
Rh  0.6768  0.0000  0.6768
Rh  0.2621  0.2621  0.5000
Rh  0.2621  0.7379  0.5000
Rh  0.5000  0.7379  0.2621
Rh  0.2621  0.5000  0.2621
Rh  0.0000  0.7728  0.0000
Rh  0.6768  0.6768  0.0000

Output
Raw total energy ... -362.04 eV for the cell shown
Mass density ... 9.42 g/cm3


[2]
Material: Na6Ca2Ti2Si3S3O24
Method: DFT, PBE
State: relaxed

a = 9.2330 Å, b = 9.2557 Å, c = 22.6996 Å
α = 90.40°, β = 90.93°, γ = 119.54°
Positions (direct):
Na  0.3683  0.3417  0.2427
Na  0.0017  0.6411  0.2394
Na  0.9845  0.3465  0.7463
Na  0.3780  0.0361  0.7430
Na  0.3041  0.3358  0.5774
Na  0.6496  0.9795  0.5937
Na  0.3159  0.9657  0.0695
Na  0.6537  0.6797  0.0848
Na  0.9947  0.6818  0.9180
Na  0.3215  0.2892  0.9053
Na  0.9959  0.3086  0.4268
Na  0.3238  0.0380  0.4095
Na  0.0064  0.9882  0.5070
Na  0.0046  0.0194  0.9939
Na  0.6538  0.3120  0.8268
Na  0.6474  0.3198  0.3343
Na  0.3085  0.6461  0.1572
Na  0.3032  0.6593  0.6604
Ca  0.9991  0.0001  0.3491
Ca  0.0004  0.0004  0.8488
Ca  0.6678  0.3436  0.6846
Ca  0.6681  0.3231  0.1835
Ca  0.3229  0.6589  0.0159
Ca  0.3220  0.6621  0.5188
Ti  0.0063  0.0424  0.6492
Ti  0.0342  0.9945  0.1410
Ti  0.6480  0.3216  0.9872
Ti  0.6404  0.3240  0.4924
Ti  0.3427  0.6633  0.3156
Ti  0.3633  0.6998  0.8070
Si  0.3041  0.9864  0.2548
Si  0.3002  0.3180  0.7565
Si  0.7062  0.0000  0.7484
Si  0.9566  0.3303  0.5854
Si  0.3516  0.0332  0.5900
Si  0.9577  0.6248  0.0869
Si  0.3687  0.3292  0.0885
Si  0.3475  0.9711  0.9192
Si  0.3487  0.3735  0.4184
S  0.6900  0.7044  0.2490
S  0.0152  0.3040  0.2524
S  0.0181  0.7133  0.7526
S  0.6805  0.6380  0.5810
S  0.6828  0.0426  0.0812
S  0.6242  0.6533  0.9176
S  0.0218  0.3700  0.9150
S  0.6208  0.9650  0.4163
S  0.0339  0.6544  0.4104
=====

I have often tried to figure out why things happen...why our lives unfold the way they do.  I believe that everything happens for a reason in the time it is supposed to...that we meet the people we are supposed to meet at the time we are supposed to meet them.  Perhaps my biggest flaw is trying to hang onto people for longer than I'm allotted with them.  I have a hard time letting go and learning from the experience, cherishing the good memories and letting go of the pain and the questions.  I think the important thing to remember is that each person we meet shapes us, helps us become who we are at this point in our life.  And, each experience, each heartache, each joy, each moment of question helps us to be more empathetic to others...preparing us to poke holes in someone else's darkness.  Of course we don't think that way at the time.  We can't see past our own misery to imagine how it could ever bring us to a place where we could take that experience and help someone else.  But, that's what happens.  That may be the biggest gift, sometimes the only gift, from some of our most painful moments...wisdom; often gained at a very high price, but invaluable to not only us but to those we are able to share it with.